The April 24 Celebrity Apprentice started where the last one left off … with NeNe Leakes being hurt and wondering why La Toya Jackson would tell Donald Trump she would not keep in touch with NeNe once the show ended.
The men were all jubilant after the boardroom for having finally gotten rid of Gary Busey. Star told the men that they had rid their team of their weakest link and are now a strong team (be careful what you admit to Star!)
For this week’s task, the teams had to create an ad campaign for the Trump Hotel Collection. Star Jones and John Rich were the project managers of their teams.
John admitted, “I don’t know what the hell it means to promote the Trump Hotel Collection. When I am out on tour, I probably would not stay there myself because it is so high end. This is outside my range of expertise and that is a disadvantage right off the bat!” Star on the other hand told The Donald she has stayed at “several” of his hotels.
After meeting with the execs, Star, the self-proclaimed connoisseur of luxury, came up with the concept of “Individual elegance, collective luxury.” La Toya thought the idea was not creative enough but told the camera that Star is too strong-headed to be told that her idea isn’t good enough.
John felt severely challenged since his team is down to only three men. Lil Jon felt he didn’t know enough about the luxurious world because he just sleeps in hotels and doesn’t know much about anything else. Meat Loaf tried to convey the vision of his concept to the team but confused everyone. John told the camera Meat Loaf is like a “riddle wrapped in an enigma” – meaning, there are too many layers of complexity to his thinking which ends up confusing people. The men finally came up with concept of “Live the life.” BORING!
Star told the camera that La Toya is useless when it comes to making things happen so she asked NeNe and LaToya to run errands. NeNe knew the odd pairing of her and La Toya was strategic planning by Star. So, NeNe spoke up to Star and said, “I have a bit of an issue that you put me and La Toya to work together. That’s a bit of a problem. It’s very difficult for somebody like me to work with fake women. I’m very real and I cannot work with somebody that as soon as Donald Trump asks a question, suddenly, you throw one of us under the table. It’s not cool.” [I think NeNe meant under the bus…and this accusation is coming from the woman who, unrequested, hopped over to Don Jr. in a koala costume to tell him how awful La Toya was as project manager. Sorry, NeNe, that’s just me keepin’ it real.]
La Toya asked NeNe to explain herself. And NeNe said it was “unfair to sit in front of Mr. Trump and say NeNe ‘doesnt like me.'” La Toya said the only reason she did not name NeNe as someone she would call after the show ends is because she felt NeNe does not like her. “That is very wrong,” NeNe interrupted. “I don’t like it and it really pisses me off.” La Toya explained, “I truly felt yesterday that if I called you, you would hang up the phone…” NeNe asked, “I don’t know where you got that from.” La Toya said, “I felt that there were eyes rolling, talking behind my back. Girls, I am human, that hurts. It hurts me to see people rolling eyes. That day you just cursed me out, that hurt me so badly, but I tried to remain strong and I said she doesn’t even realize what she is doing.”
NeNe told the camera that La Toya’s explanation helped her to understand her more. But she still didn’t get the big picture and placed blame on La Toya. “I understand she has issues and I need to be more sensitive and not so rough around her.”
La Toya said she had no animosity against NeNe and that she thought NeNe has a good heart. “Actually, I love you and with that said, I’d like to give you a hug,” La Toya said. [GOD I LOVE YOU La Toya for being such a lady and class act!]
With all that, NeNe agreed to work with La Toya but still told the camera she doesn’t fully trust La Toya because it’s hard for her to trust anyone. Star said the boys are in trouble because now she’s rid the team of negativity and has nothing left but five woman working together with nothing but love.
The woman got manicures and had their hair done so they could represent the luxurious life in their photo shoot. Of course the men did no such thing. Instead, they worked on their project and John felt he and Lil Jon worked really well together.
While running errands, La Toya and NeNe continued their reconciliation with La Toya doing all the mending and saying how NeNe is sensitive and that she does not want to hurt her. The two were acting like old BFFs and La Toya told NeNe she better have a guest room ready when she goes and visits her in Atlanta.
Back at the ladies’ headquarters, the photo shoot got delayed because Star misjudged how long it would take for NeNe and La Toya to run the errands. As soon as the new BFFs got back to their team, Star told NeNe and La Toya they had five minutes to get ready which pissed off NeNe. “Bitch, what you talking about we have five minutes,” NeNe complained to the camera. She continued, “Star is definitely setting me up.” She told the ladies they think she and La Toya are “superfly,” expecting them to get ready in super speed. Star and NeNe kept fighting over how long NeNe’s directed shots of Hope were taking. Even with all the fighting, the women were somehow still able to finish the photo shoot in time but the finished brochure looked crowded and busy.
Meat Loaf “screwed up” on his one task by taking a picture of the hotel butler without him smiling. John definitely wanted a friendlier vibe for the ad and came up with yet another one of his verbal gems by saying, “It looks like an outlaw picture of a guy that got murdered and stood up in a casket in the middle of town and they took a picture of him.”
The men spent a lot of time trying to ensure that their extremely wordy promo brochure was proofread well and was devoid of spelling errors. But they failed to heed the words of the execs to stay away from the age-old concept of hotel and butler images in the brochure.
Each team presented their pitch to the exec judges. The men put on an engaging presentation whereas the women just spewed out word after word of attributes and adjectives such as “best of the best” and “sophistication,” which they felt described Trump hotels. They kept going on and on and on…It was “corny” as aptly described by La Toya to the camera.
The execs compared the women’s brochure to the junk flyers for “sleazy clubs” which we all find underneath our car windshield wipers. They liked that the name “Trump” stood out well against the crowded pics. They also said the women’s “jack in the box” style of spitting out attributes made them “cringe.”
But the execs didn’t like the men’s brochure either, finding it too wordy and demanding too much time to read. They also found many misspellings despite the care the men took to avoid them. The men also used a photo of a butler and an image of a hotel that the execs had specifically hinted at staying away from to avoid being mundane. The execs felt that the men’s brochure lacked a “call to action” – there was no 800 number listed, nor a website address or contact info. The execs did like the enthusiasm and energy of the men’s presentation and felt the men were coming from a place in their heart. As to picking a winner they said, “This is no easy discussion with Trump or an easy decision to make.”
The execs met up with Trump and told him the two teams were “not good at all,” and that they felt there was a “real disconnect” between the assignment and the end product. The execs felt the men really understood what the luxurious hotels were about but did not talk about the end product. The execs also felt it was terrible that no contact info was provided by the men in their brochure. As for the women, the execs felt the word “Trump” jumped out on their brochure but felt the photos in the ads were a mess. They picked the men as the better presenters and felt women were too “scripted.” As for a winner, they picked “the lesser of two evil” and said, “There really is no winner. The loser is…”
The women seemed united in the boardroom. Hope said Star is the most impressive team member. NeNe was asked who the strongest person on the team is other than herself and NeNe named Marlee Matlin. NeNe said she made up with La Toya but sort of threw her under the bus by saying the girls had felt La Toya was phony.
Now that NeNe doesn’t have a feud with La Toya, she picked on her next victim. She said she felt a couple of the girls were “crawling up Star’s ass.” She continued, “I felt even Hope or Marlee…I feel like they could be strong players if they just be strong players.” What was the response of our possible next President to this bizarre comment? Trump said, “By the way, much nicer now that she lost all the weight.” WHAT?!? Seriously?? Did Trump just comment on the size and nicety of Star’s post-weight loss ass?
This conversation did not end there. Star took it upon herself to comment on the hypothetical situation of her teammates actually crawling into her more cushiony old ass. She explained, “It would not have been very comfortable for you back then.” [Disturbing string of conversation — then again, it’s moments like this that make THIS SHOW one of the best reality shows out there.]
Back to the men — John said his three teammates took on Herculean tasks and there was no individual star but felt his team had done well.
Trump then dropped the bombshell that the judges disliked both of the team’s outputs and had even called the women’s efforts a “Greek tragedy.” So, Donald announced the loser as the women’s team. With that, he sent the men back to their suite.
Star tried to save her team by arguing that no one should be fired but Trump said the team had done so badly that she had no leg to stand on for such an argument. Donald said the men won because they had the better pitch. THAT ALONE should have gotten Star fired because the pitch was entirely her idea. But somehow, things did not work out that way.
Donald Trump Jr. said the bathtub shot directed by NeNe was cheesy and contained many mistakes (such as an uncorked bottle but a glass full of wine and Hope being in a bathtub…with a towel on!). NeNe would not say who should be fired but La Toya said it should be Star because she was the project manager. Marlee said she would fire La Toya because based on all tasks to date she does not deem La Toya a leader. Donald Jr. jumped in and said the same thing could be said about Hope but Marlee disagreed. NeNe cut in and said moving forward La Toya would be the weakest link.
Donald Trump said on two previous tasks the execs had picked La Toya as the best team player–a statement that shut the women down. Even so, Star picked La Toya and NeNe to come back to the boardroom to face the firing squad with her. Star admitted she was taking NeNe back with her so the two of them could team up against La Toya and get her fired.
While waiting to be called back into the boardroom, NeNe told the camera she felt she was being manipulated by Star. “La Toya and I just made a connection yesterday, so I just have to figure out what I am going to do.”
These crystal structures were left in the piece by mistake =
[1]
{"formula": "BaGe4As7", "functional": "PBE-GGA", "state": "optimized geometry", "magnetic_moment_mub_per_atom": 0.00, "density_g_cm3": 5.3, "space_group": "No. 31", "delta_e_f_ev_per_atom": -0.114, "cell": [[6.3798, 0.0000, 0.0000], [0.0000, 6.5429, 0.0000], [0.0000, 0.0000, 14.3192]], "species": ["Ge", "Ge", "As", "As", "Ge", "Ge", "As", "As", "Ba", "As", "Ge", "As", "As", "As", "Ge", "Ba", "As", "As", "As", "Ge", "As", "As", "Ge", "As"], "fractional_positions": [[0.1060, 0.3208, 0.3817], [0.0959, 0.8202, 0.2525], [0.4475, 0.3292, 0.0950], [0.9912, 0.6485, 0.8988], [0.6060, 0.6792, 0.1183], [0.1060, 0.3208, 0.6183], [0.9422, 0.0986, 0.5000], [0.9892, 0.1842, 0.2298], [0.4529, 0.8489, 0.5000], [0.9892, 0.1842, 0.7702], [0.5959, 0.1798, 0.2475], [0.4475, 0.3292, 0.9050], [0.9475, 0.6708, 0.5950], [0.4892, 0.8158, 0.7298], [0.5959, 0.1798, 0.7525], [0.9529, 0.1511, 0.0000], [0.4892, 0.8158, 0.2702], [0.9475, 0.6708, 0.4050], [0.4912, 0.3515, 0.3988], [0.6060, 0.6792, 0.8817], [0.9912, 0.6485, 0.1012], [0.4912, 0.3515, 0.6012], [0.0959, 0.8202, 0.7475], [0.4422, 0.9014, 0.0000]]}

***

[2]
{"formula": "LaPt2Pb", "functional": "PBE-GGA", "state": "optimized geometry", "magnetic_moment_mub_per_atom": 0.00, "density_g_cm3": 12.2, "space_group": "No. 12", "delta_e_f_ev_per_atom": -0.654, "cell": [[4.3125, -0.0298, 0.0181], [2.1898, 3.7153, 0.0181], [2.1622, 1.2255, 6.2515]], "species": ["Pb", "Pt", "La", "Pt"], "fractional_positions": [[0.2500, 0.2500, 0.2500], [0.5079, 0.5079, 0.4743], [0.7500, 0.7500, 0.7500], [0.9921, 0.9921, 0.0257]]}

***

[3]
{"formula": "TbGdBeCo", "functional": "PBE-GGA", "state": "optimized geometry", "magnetic_moment_mub_per_atom": 1.72, "density_g_cm3": 8.2, "space_group": "No. 216", "delta_e_f_ev_per_atom": 0.004, "cell": [[-3.6590, -2.7012, -1.5378], [0.8168, -4.4344, -1.6488], [-1.4119, -3.8100, 2.5574]], "species": ["Be", "Gd", "Tb", "Co"], "fractional_positions": [[0.0000, 0.0000, 0.0000], [0.7500, 0.7500, 0.7500], [0.2500, 0.2500, 0.2500], [0.5000, 0.5000, 0.5000]]}

***

[4]
{"formula": "La3NdZn2", "functional": "PBE-GGA", "state": "optimized geometry", "magnetic_moment_mub_per_atom": 0.00, "density_g_cm3": 6.4, "space_group": "No. 123", "delta_e_f_ev_per_atom": -0.205, "cell": [[-0.0633, -2.8212, 2.4963], [3.7644, 0.0461, 0.1475], [-0.4734, 8.3846, 9.4639]], "species": ["La", "La", "Nd", "Zn", "Zn", "La"], "fractional_positions": [[0.0000, 0.0000, 0.2924], [0.0000, 0.0000, 0.0000], [0.5000, 0.5000, 0.5000], [0.5000, 0.5000, 0.1489], [0.5000, 0.5000, 0.8511], [0.0000, 0.0000, 0.7076]]}

***

[5]
The women were called back in the boardroom. Star put the entire burden of her argument on what NeNe had to say about La Toya which should have been another reason why Star should have been fired. The star attorney actually made someone else make her argument for her? Really? And Trump let her get away with that? Anway, after some hesitation, NeNe said, “La Toya is not a strong player. Period. It’s just what it is. She’s not a strong player.” NeNe then threw her arms in the air as to indicate that’s all she was going to say.
La Toya begged to differ and explained why all losses in the past were directly Star’s fault. Star blamed La Toya as the cause for Star having had to “stop the progress” of the team on this task. Star claimed that at La Toya’s request (that never happened–it was NeNe who wanted to talk things out), Star stopped everything to have a “come to Jesus” meeting to resolve issues between NeNe and La Toya.
(Data records, as found in the file)
# 1
This record from Alexandria describes crystalline Sr2YOsO8 at its relaxed geometry. The functional is PBE.

## Properties
Formation energy (no corrections), eV per atom: -1.9308
E, eV/atom: -6.991
Crystal system: monoclinic

Cell: 5.1297 6.8217 5.3719 Å, 90.00 90.50 90.00°
Space group P2/m (No. 10)
Symmetry-distinct sites (fractional):
Sr  0.0000  0.2415  0.0000 (multiplicity 2)
Y  0.5000  0.5000  0.5000 (multiplicity 1)
Os  0.5000  0.0000  0.5000 (multiplicity 1)
O  0.2872  0.2049  0.6252 (multiplicity 4)
O  0.2888  0.5000  0.1387 (multiplicity 2)
O  0.3052  0.0000  0.2099 (multiplicity 2)

# 2
This record from Alexandria describes crystalline Mg4H2Ir at its relaxed geometry. The functional is PBE.

## Properties
Energy above the most stable polymorph in this dataset, meV/atom: 44
E, eV/atom: -3.353
DOS(E_F), states/eV/atom: 0.170
Crystal system: triclinic

Cell: 5.1895 5.1968 5.2858 Å, 100.08 112.81 115.22°
Space group P1 (No. 1)
Symmetry-distinct sites (fractional):
Mg  0.0000  0.0000  0.0000 (multiplicity 1)
Mg  0.1142  0.4812  0.6743 (multiplicity 1)
Mg  0.4422  0.1112  0.6340 (multiplicity 1)
Mg  0.6342  0.6725  0.3090 (multiplicity 1)
H  0.0468  0.0660  0.6538 (multiplicity 1)
H  0.7214  0.2416  0.1547 (multiplicity 1)
Ir  0.0205  0.5401  0.1537 (multiplicity 1)

# 3
This record from Alexandria describes crystalline Al12PbO19 at its relaxed geometry. The functional is PBE.

## Properties
Formation energy (no corrections), eV per atom: -2.8909
E, eV/atom: -7.354
DOS(E_F), states/eV/atom: 0.000
Crystal system: hexagonal

Cell: 5.6265 5.6265 22.3040 Å, 90.00 90.00 120.00°
Space group P6_3mc (No. 186)
Symmetry-distinct sites (fractional):
Al  0.0000  0.0000  0.0000 (multiplicity 2)
Al  0.0000  0.0000  0.2384 (multiplicity 2)
Al  0.1674  0.3349  0.3919 (multiplicity 6)
Al  0.1695  0.3390  0.1080 (multiplicity 6)
Al  0.3333  0.6667  0.5284 (multiplicity 2)
Al  0.3333  0.6667  0.6897 (multiplicity 2)
Al  0.3333  0.6667  0.8093 (multiplicity 2)
Al  0.3333  0.6667  0.9724 (multiplicity 2)
Pb  0.3333  0.6667  0.2544 (multiplicity 2)
O  0.0000  0.0000  0.1498 (multiplicity 2)
O  0.0000  0.0000  0.3545 (multiplicity 2)
O  0.0024  0.5012  0.1469 (multiplicity 6)
O  0.0032  0.5016  0.3525 (multiplicity 6)
O  0.1544  0.3087  0.5522 (multiplicity 6)
O  0.1557  0.3115  0.9493 (multiplicity 6)
O  0.1813  0.3626  0.7489 (multiplicity 6)
O  0.3333  0.6667  0.0545 (multiplicity 2)
O  0.3333  0.6667  0.4460 (multiplicity 2)

=====

Entry 1:
This record from Alexandria via LeMat-Bulk describes an optimized crystal structure of RbNaTl4. The functional is PBE.

abc: 5.4196 5.4196 8.5272
angles: 90.00 90.00 120.00
Last column: nearest neighbours and their distance in Å.
Space group P6/mmm (No. 191)
One atom of each set of equivalent atoms:
Rb  0.0000  0.0000  0.0000 [1 per cell]  12 Tl 4.09, 2 Na 4.26
Na  0.0000  0.0000  0.5000 [1 per cell]  12 Tl 3.53
Tl  0.3333  0.6667  0.3080 [4 per cell]  4 Tl 3.13-3.27

Results
Trump said the men’s team is strong [They are?? They had lost three tasks in a row and barely ‘won’ this one] and the women need to get along to be able to keep up with the men. He also said that her teammates do not want La Toya on the team moving forward. So, to give the women’s team “the chance to fight” he fired La Toya.
Come again, Donald? Are you kidding me? The women did such a horrible job on this task that the execs called it a “Greek tragedy.” Who else could you blame for such a complete meltdown and failure on a task other than the team’s project manager? Donald surely kept Gary Busey around at the expense of the likes of Mark McGrath even though Gary’s entire team wanted him gone much earlier. But he fired La Toya for the same reason despite La Toya having kicked ass on two assignments including a win as a project manager? It sure looks to me that Trump wanted to keep the trouble makers on the show around for the ratings.
Star should have been the one fired because she was the project manager. As the self-proclaimed connoisseur of luxury, she failed miserably when her final product conveyed the look and feel of sleazy strip bars. Star wasted time getting a manicure but blamed time wastage on a bitch session started by NeNe and not La Toya. Star’s pitch was horrible and the execs specifically said the men won because their pitch was better. Star also failed to argue well for herself in the boardroom and delegated her field of expertise (lawyering) to NeNe instead. La Toya was just too sweet and too drama-free and so she suffered as a result.
After the boardroom, the usually outspoken and confident NeNe was shocked at the tactics Star was willing to take to win. She rightfully felt that Star had “orchestrated” the whole firing. She told the camera that Star “is willing to cut your damn head off to win. I did not know the competition was that way.”
NeNe told Star that her friendships meant more to her than “any of this.” “We have to be a team,” NeNe said. Star responded, “I don’t like losing.” NeNe finished, “You have to listen to other people.” Star said this was a learning experience for her.
On her limousine ride to who knows where, La Toya said Star is manipulative and thought Donald had made a mistake.
Next week’s previews make for a doozy of a show. Looks like we will finally get a great showdown between Star and NeNe – probably making Trump very happy with his decision to keep the outspoken ladies on for a final fight.
== Someone pasted crystal structures at this point ==
********
# 1
DFT (PBE) results for a relaxed CuGe4Os crystal.

Cell lengths 6.144, 6.144, 6.760 Å; angles 117.03, 117.03, 90.00 degrees
Sites, in units of the cell vectors:
Cu 0.500 0.500 0.000
Cu 0.000 0.000 0.000
Ge 0.487 0.987 0.272
Ge 0.987 0.785 0.272
Ge 0.285 0.487 0.272
Ge 0.715 0.513 0.728
Ge 0.013 0.215 0.728
Ge 0.513 0.013 0.728
Ge 0.215 0.715 0.728
Ge 0.785 0.285 0.272
Os 0.250 0.250 0.500
Os 0.750 0.750 0.500

Summary:
energy relative to the elements: 0.0028 eV/atom



# 2
DFT (PBE) results for a relaxed Cu2GeOs2 crystal.

Cell lengths 5.903, 5.903, 3.930 Å; angles 90.00, 90.00, 90.00 degrees
Sites, in units of the cell vectors:
Ge 0.000 0.000 0.000
Ge 0.500 0.500 0.000
Os 0.168 0.668 0.500
Os 0.668 0.832 0.500
Os 0.832 0.332 0.500
Os 0.332 0.168 0.500
Cu 0.365 0.865 0.000
Cu 0.865 0.635 0.000
Cu 0.635 0.135 0.000
Cu 0.135 0.365 0.000

Summary:
energy relative to the elements: 0.6529 eV/atom
ΔE to the lowest computed polymorph: 0 meV per atom



# 3
DFT (PBE) results for a relaxed PmCuGe2Os crystal.

Cell lengths 4.124, 4.124, 6.074 Å; angles 109.84, 109.84, 90.00 degrees
Sites, in units of the cell vectors:
Pm 0.000 0.000 0.000
Cu 0.250 0.750 0.500
Ge 0.622 0.622 0.245
Ge 0.378 0.378 0.755
Os 0.750 0.250 0.500

Summary:
energy relative to the elements: -0.3594 eV/atom



# 4
DFT (PBE) results for a relaxed CuReGe2Os crystal.

Cell lengths 4.674, 4.795, 4.674 Å; angles 90.00, 90.00, 90.00 degrees
Site moments in Bohr magnetons follow the coordinates.
Sites, in units of the cell vectors:
Re 0.500 0.500 0.500  3.35
Ge 0.000 0.000 0.500  -0.03
Ge 0.500 0.000 0.000  -0.01
Os 0.000 0.000 0.000  0.41
Cu 0.000 0.500 0.000  0.11

Summary:
energy relative to the elements: 1.4654 eV/atom



# 5
DFT (PBE) results for a relaxed SmCuGe2Os crystal.

Cell lengths 4.117, 4.117, 6.056 Å; angles 109.87, 109.87, 90.00 degrees
Sites, in units of the cell vectors:
Sm 0.000 0.000 0.000
Cu 0.750 0.250 0.500
Ge 0.622 0.622 0.244
Ge 0.378 0.378 0.756
Os 0.250 0.750 0.500

Summary:
energy relative to the elements: -0.3570 eV/atom



# 6
DFT (PBE) results for a relaxed VCuGeOs crystal.

Cell lengths 4.259, 4.259, 4.259 Å; angles 60.00, 60.00, 60.00 degrees
Sites, in units of the cell vectors:
Ge 0.000 0.000 0.000
Os 0.750 0.750 0.750
Cu 0.250 0.250 0.250
V 0.500 0.500 0.500

Summary:
energy relative to the elements: 0.0113 eV/atom



| no. | calculated total energy (eV per cell) | theoretical density (g/cm3) |
| --- | --- | --- |
| 1 | -67.557 | 9.25 |
| 2 | -64.010 | 14.07 |
| 3 | -31.108 | 9.97 |
| 4 | -29.682 | 9.28 |
| 5 | -31.065 | 10.13 |
| 6 | -29.017 | 11.47 |

----------

1.
First-principles (PBE) data for an optimized crystal structure of Tb12Ho5Th2, as listed in Alexandria.

## Properties
As for the space-group type: No. 2.

Unit cell a=6.1677 b=9.4016 c=11.7734 alpha=117.08 beta=94.94 gamma=83.70
Last column: nearest neighbours and their distance in Å.
Fractional coordinates of all 19 atoms:
********

NO WAY IN THE WORLD LaToya should have been fired tonite! I just really wish she had not given MJ’s $90,000 shirt to Marlee because Marlee is a back-stabber and just as 2-faced and vicious as Nene is to LaToya. LaToya is way-smarter than any of us knew and she is a true diplomat. She didn’t let the other bimbos intimidate her, but Donald Trump did. He just wants high ratings with the audience seeing Star & Nene go at it like a bull and a shark. LaToya, be glad you are out of that mess! Go home to your mansion and enjoy your riches without all this hassle. You did GOOD on the show and YOU are a diva!
Man, LaToya got the shaft!! The whole concept was Star’s idea and she clearly deserved to go. I just don’t see LaToya as a weak link. I also disagree with people thinking that Hope is a weak link because she is quiet. You don’t have to run your mouth constantly to be an effective team member.
Latoya got fired because she doesn’t create drama. When will you guys learn that Trump keeps people based on the drama and troubles they can create. Of course, he will also leave a token “obvious” winner in the game. That person usually ends up winning the game but the trouble maker stays for the ratings.